
The chirp and whistle of the morning birds
accompany me as we give praise to our Maker.
Their happy sounds hide the low roar and rumble
of the morning commute.

The doves’ distinct cooing punctuates above the rest.
The grandeur of the soloist, the accomplished
tenor who commands special attention,
calling the world to Hope.

I Am Again Invincible

I am well enough, better than well enough, to return to this forum for my thoughts.

When I could not walk, needing crutches or a God sent scooter to get around [my good left leg pushed while I rested my right knee on the scooter’s seat]; when I suffered such severe pain that I could only play music through headphones to comfort me, or sleep; then I had no desire to write. I barely had desire to live.

Now the pain is not constant, just a nagging reminder when I walk. I yearn to walk again without pain; and am hopeful that one day I will. Now my mind is clear and filled with things to write, things which I believe are worth reading.

Let me begin with this:

I too once seemed invincible,
nothing could touch me. I was innocent.
I worked, loved my work of teaching
helping people change their lives;
I gardened everyday, after work;
I was strong in all the ways
that humans need strength – body, mind, soul.

I was greatly loved and I mightily returned
her love.
I thought we would process our cares and thoughts,
process our way to bliss, forever.
My life seemed set and secure.

She died unexpectedly
and I was left heartbroken and mute
my breath knocked out of my being.

Now, pain and years later, I am again invincible.
Not in the ways of the innocent,
those who haven’t yet lost their hearts, their souls;
those who haven’t faced death.

No, now in the way of the wise am I invincible.
In the way of ones who have felt the deepest pain
the deepest hurt the deepest loss…
and decide to laugh and sing and give Praise
despite, in spite of it all.

I am again strong and secure and know
that I can bear and accept with grace
what comes in my life unknown.
And joyously sing: Thank You for another day
another opportunity to love your Creation.

She Comforts Herself With the Sound of All

She comforts herself in the wee hours of the morning with the sound of the Universe gently humming in her ears. Three to five hours after retiring she would routinely awaken,unable to return to sleep. Either the throbbing pain of her fractured foot would wake her, or the need to relieve herself of the large cup of chamomile tea habitually consumed prior to bed. She could no longer remember sleeping through the entire night. And she could no longer remember a time before the comfort of the sound of the Universe.

This sound, Universal sound, comes to her ears unbidden, constant and gentle. It needs only stillness and silence to appear, and it never fails. This thin subtle sound, a delicate hum, maybe a G major (but giving it clear definition is too limiting; just as we can never truly define the essence of the force which permeates all). This sound fills her entire being with the essence of All; it allows her to ignore the constant pain; allows her to again find sleep and peace. It takes the place of thought.

She is sleeping now nine to ten hours each night. The daily pain grinds her down, saps her energy and will. She thankfully does not work; retired now after years of excess labor. The insanity of sixty hour weeks, plus food shop, home and garden chores, and the normal social responsibilities of middle age. Now she is able to sleep more than a third of the day. Enabling the bone to knit together, build and heal, as it does in sleep.

Calculated crystals, kept here for reference:
=====
4
Lattice="8.213 -0.015 -0.009 7.594 3.127 -0.009 7.594 1.496 2.747" Properties=species:S:1:pos:R:3 comment="Be2AgBr, optimized geometry, DFT PBE" dos_at_fermi_per_ev_cell=2.60 formation_energy_uncorrected_mev_per_atom=362 total_energy_ev_per_atom=-2.63 relative_energy_mev_per_atom=184 pbc="T T T"
Be 23.167 4.562 2.702
Be 5.965 1.175 0.696
Br 12.423 2.446 1.449
Ag 16.947 3.337 1.977
=====

The delicate sound of All, now comes unbidden, ears fully open, requiring only stillness to reverberate in her being. It took years and years of purposely listening, purposely sitting in the prescribed posture, purposely closing out the world, closing her ears to hear this sound of All trickle into her consciousness. She practiced Surat Shabd Yoga, finding joy when the Universal sound flowed into her being. Advanced practitioners, and she was not, were known to hear entire symphonies of ethereal music. She was pleased to just be able to sit, actually hover, balanced over her two feet planted on the ground, knees up and supporting her arms, her hands on either side of her head, fingers closing off her ears to the world. In the early years this sound of All mostly eluded her, but she performed the ritual of hearing with full hope.

Now, more than thirty years later, with equal days not sitting/hovering, not bidding the sound of All to attend to her Soul; the sound of the Universe comes to her nightly. This sound allows her to trust and believe and stay positive and have faith that the Essence of the force which permeates All remains in her heart; has never left her; continues to return, predictably now, provide peace comfort and joy.

Prayer from Rabbi Chaim Stern

I quote from my Siddur (Reform Judaism prayer book) a prayer which touched my heart this morning. I want to share these beautiful words of Chaim Stern:

Days pass and the years vanish, and we walk sightless among miracles.
God, fill our eyes with seeing and our minds with knowing;
let there be moments when Your Presence, like lightning,
illumines the darkness in which we walk.
Help us to see, wherever we gaze, that the bush burns unconsumed.
And we, clay touched by God, will reach out for holiness, and exclaim in wonder:
How filled with awe is this place, and we did not know it!

Blessed is the Eternal One, the Holy God!

Reclaiming My Foot

Today I touched my right foot, my fractured ankle right foot, for the first time in a month. It had been under wraps in a too tight large blood blister pain causing splint; in a too heavy, feeling like I’m dragging a 100 pound ball and chain plaster of Paris cast; in lighter yet terribly confining and still too heavy fiberglass casts. I’d not seen my foot, my skin had been untouchable, for weeks.

Today I was free to look and touch. To take a good look at the shriveled, reptile peeling discolored skin, healing blood tattooed blister scabs, the edematous toes, the suture scars, the badly shrunken calf muscle, the clean nicely healed incisions. Today I was finally able to see what one month post fracture, two weeks post surgery does to the human foot.

Today I touched this foot, this fractured appendage which I’d disowned, which I’d only related to in disbelief, incredulity, shock, denial. I had disenfranchised myself from this painful visible evidence of my inconceivable fall, this inconceivable fracture which overnight caused major disruption to my life. I had distanced myself, my heart, my being from this fractured foot.

It caused tremendous pain, especially at night disrupting sleep; it could not be wet; it lay uncomfortably propped on always falling pillows. It was the encumbrance reminding me of the terrible inconceivable life altering fall of January 14, 2012. The fall occurred while walking my two doggies. I’d bent down to adjust one collar and when I stood up, the leash got tangled in my fancy, new, distinctly flawed design of the soles of my Saucony Pro Grid running shoe. The leash wrapped around the fancy “support” round outcroppings of the sole, and suddenly I was lassoed, as in the old cowboy movies. Boom! I was down! No warning! Down I went and landed on my right foot, badly fracturing my ankle.

Today I slowly felt this fractured foot. My foot. I slowly allowed the reality of my injury to curse through me. I took ownership of my mishap, my misfortune, and the ugly repercussions. Today I gently applied a sweet scented body cream to every inch of my poorly neglected foot. I massaged, felt, caressed and poured love and my life back into this so taken for granted vital part of me.
And I cried.

I already love 2012

I already love 2012. It is already filled with newness, aliveness, new beauty and possibilities. A new woman has entered my life who I have begun to learn from.

She is teaching me.

And I’ve had very little contact with her really. But she has occupied my brain
with questions, thoughts, wonder.

2012 and I already like her. I like how she looks and sounds and feels, already.

I also wish to memorialize today (still another reason I already love 2012)
by noting that it was tonight, January 7th, that I “got it” that I have what I
was meant to have in relationship to another. The other who occupied my brain body heart and soul for two years. It became crystal clear that I have learned, I have related to, we have had give and take, we have had give and take, and she has said good-bye, and so have I.

2012 has already, in its short infancy, provided me with incredible jaw dropping amazement. Thank you 2012. Thank you Adonai for allowing me the gift of discernment, new opportunity, new possibility of lessons and love.

Posted in Joy

A Time of Richness

I have bathed in the thoughtful words of my old friend Janice these past few days. I have felt the luxury of spending whole days with someone totally trusted, totally non-judgmental, totally comfortable with me, her, us. Sharing precious time together; precious because it is not often spent.

Today I also spent precious time with a new friend Andy. The process of shared discovery in telling who we are.

I said:
I don’t do superficial.
I like to go deep.
Into the very heart and soul of a matter,
into feeling, into movement, into moment.

She said:
Yes, I know.

I didn’t ask her how she knows; I trust she can see.

As I play back this morning’s exchange, I can’t help but note,
in awe and wonder:
That delving into the contemplation of G-d, the Divine,
is the deepest I can go.

Once there, heart fully open,
there comes a joy and aliveness
that knows no bounds.

A burst of sparks and flame which allows
body, mind, heart, soul to be part of the One.

The richness of human communication; a path to the Divine.

Psalm 69

Sitting, listening to my Rabbi, Gershon Winkler, I often get chills down my spine, then tears in my eyes, as the Truth of what he is saying washes over my soul. I am captivated by his ability to delve deeply into the Mystery of this Dear World. Such mystery and depth feeds me.

Gershon translated a section of Psalm 69:14 and I submit his translation below. I confess that I had to read it 20 times before I truly “got it.” And when I did, it
reverberated through my body as a shock of sheer delight and joy. I now read it daily to regenerate my store of Hope and Faith.

Psalm 69:14 – Translated by Rabbi Gershon Winkler:
And I,
My prayer is directed to you
Infinite Mover of the Universe
When the moment coincides with the Will
In your magnanimous benevolence
Respond to me
In truth
With your support.

A Woman as Beautiful

A relaxed structure of TaSnPd, computed with PBE.

Geometry as POSCAR:
```
TaSnPd
1.0
3.049 0.000 0.000
0.000 3.049 0.000
-1.525 -1.525 5.916
Sn Pd Ta
1 1 1
Cartesian
1.525 1.525 1.913
1.525 1.525 5.854
0.000 0.000 4.066
```

Values from the calculation:
- Space group: I4mm
- Crystal system: tetragonal
- Calculated formation energy: -0.35 eV per formula unit


A relaxed structure of ScCoHg2, computed with PBE.

Geometry as POSCAR:
```
ScCoHg2
1.0
-2.111 -0.916 -3.328
3.410 0.051 -2.177
1.965 -10.134 -0.918
Sc Co Hg
2 2 4
Cartesian
0.649 -0.432 -2.753
3.012 -5.258 -2.924
0.000 0.000 0.000
0.252 -5.741 -3.499
-0.435 -3.114 -2.634
2.392 -2.601 -1.953
1.907 -7.925 -2.718
2.665 -8.356 -5.540
```

Values from the calculation:
- Space group: I-42d
- Crystal system: tetragonal
- Calculated formation energy: 1.04 eV per formula unit


A relaxed structure of Rb2La2PaS6, computed with PBE.

Geometry as POSCAR:
```
Rb2La2PaS6
1.0
7.304 0.007 0.074
-3.603 6.353 0.074
-1.312 -2.256 7.776
Rb La Pa S
2 2 1 6
Cartesian
5.461 1.079 0.074
-1.761 5.281 0.074
-0.612 3.103 3.962
2.999 1.002 3.962
-0.656 -1.128 3.888
1.875 3.223 5.467
-1.835 0.863 5.382
0.513 0.881 2.457
1.657 -1.168 5.382
4.222 3.242 2.542
0.731 5.273 2.542
```

Values from the calculation:
- ΔE_f (raw): -20.1 eV/f.u.
- Space group: C2/m
- Crystal system: monoclinic


A relaxed structure of MoP2Au, computed with PBE.

Geometry as POSCAR:
```
MoP2Au
1.0
-2.641 -0.743 -1.594
1.441 -2.563 -1.193
-1.932 -3.291 4.736
Au Mo P
1 1 2
Cartesian
-1.083 -2.476 -0.210
-2.049 -4.122 2.158
-1.859 -3.167 4.557
-1.039 -1.770 2.547
```

Values from the calculation:
- E above lowest polymorph: 0.000 eV per atom
- Space group: P4/mmm
- Crystal system: tetragonal
- Calculated formation energy: -0.13 eV per formula unit


A relaxed structure of KFe2Cu, computed with PBE.

Geometry as POSCAR:
```
KFe2Cu
1.0
2.714 -3.115 -2.006
2.546 -2.825 2.574
-1.056 -4.463 0.244
K Fe Cu
1 2 1
Cartesian
0.000 0.000 0.000
1.051 -2.601 0.203
3.153 -7.802 0.609
2.102 -5.201 0.406
```

Values from the calculation:
- E above lowest polymorph: 0.711 eV per atom
- Space group: Fm-3m
- Crystal system: cubic
- Calculated formation energy: 5.22 eV per formula unit


A relaxed structure of PuZnFeRu, computed with PBE.

Geometry as POSCAR:
```
PuZnFeRu
1.0
-3.815 -0.405 2.291
-0.179 -2.655 3.589
-0.354 1.782 4.082
Ru Zn Fe Pu
1 1 1 1
Cartesian
-3.262 -0.958 7.472
-2.174 -0.639 4.981
-1.087 -0.319 2.491
0.000 0.000 0.000
```

Values from the calculation:
- Space group: F-43m
- Crystal system: cubic
- Calculated formation energy: -0.35 eV per formula unit


A relaxed structure of CeSiTe, computed with PBE.

Geometry as POSCAR:
```
CeSiTe
1.0
4.037 0.000 0.000
0.000 4.099 0.000
0.000 2.049 9.051
Si Te Ce
2 2 2
Cartesian
3.028 2.049 0.569
1.009 4.099 8.481
3.028 2.049 3.330
1.009 4.099 5.721
3.028 2.049 7.286
1.009 4.099 1.765
```

Values from the calculation:
- ΔE_f (raw): -2.6 eV/f.u.
- Space group: Cmcm
- Crystal system: orthorhombic
== The entry goes on ==

I was recently told
by another woman
that she finds me beautiful.

I believe telling another woman
that she is beautiful
should never be said lightly,
without total conviction.

And should always be received,
with total conviction.

For the beauty that one sees in another
is only their reflection of G-d.